Activity:
Copy the lines underneath without additions.
Material:
<<<
Molecular formula: C66H181N11O30
Method: DFT, ωB97M-V/def2-TZVPD

```
288
Properties=species:S:1:pos:R:3:forces:R:3:mulliken_charge:R:1
O -3.925 1.825 2.628 -1.094 -0.601 -0.292 -0.73
H -3.230 1.472 2.072 1.110 -0.075 -0.234 0.28
H -4.732 1.467 2.259 -0.384 0.109 0.093 0.28
O -2.481 3.496 3.838 0.746 0.733 0.858 -0.74
H -3.072 2.803 3.543 -0.347 -0.015 -0.051 0.47
H -1.759 3.479 3.210 0.153 0.015 -0.065 0.30
O -3.863 2.726 -2.045 0.742 0.201 0.283 -0.65
H -3.490 2.904 -2.908 0.167 -0.129 -0.445 0.22
H -4.765 2.461 -2.224 -0.035 -0.137 -0.538 0.08
O -3.502 5.159 -0.854 0.142 0.527 0.311 -0.51
H -3.505 5.894 -1.468 0.037 0.361 -0.016 0.31
H -3.558 4.382 -1.410 -0.227 -0.627 -0.075 0.28
O 2.340 0.061 0.817 0.797 0.282 -0.725 -0.15
H 2.316 0.078 1.774 -0.282 -0.006 0.439 0.24
H 1.442 -0.146 0.559 -0.197 -0.331 0.015 0.02
O 1.255 7.524 -0.971 -0.060 -0.081 0.134 -0.51
H 1.389 8.125 -1.704 -0.056 0.202 -0.273 0.31
H 2.092 7.518 -0.508 0.291 -0.051 0.280 0.21
O 1.343 0.203 3.395 0.188 -0.235 -0.800 -0.45
H 1.607 0.896 4.000 -0.039 0.486 0.683 0.20
H 0.545 -0.160 3.780 -0.199 -0.288 0.448 -0.02
O -1.149 8.368 0.355 -0.501 0.074 0.122 -0.61
H -0.976 9.269 0.629 -0.032 0.196 0.104 0.28
H -0.298 8.036 0.070 0.445 -0.238 -0.264 0.37
C 0.608 3.663 -4.785 -0.748 -0.104 0.823 -0.54
O -0.083 4.905 -4.744 0.591 -0.194 -0.450 -0.38
C -0.328 5.335 -3.417 -0.619 1.596 -1.088 0.85
C -0.444 6.880 -3.502 -1.270 0.850 -0.176 -0.76
N -1.285 7.399 -4.641 0.094 -1.895 0.552 -0.14
C -1.258 8.794 -4.925 0.300 0.434 -0.084 -0.72
C -2.009 9.151 -6.214 0.498 1.071 1.400 -0.73
O -1.613 8.387 -7.319 0.618 0.126 -0.186 -0.34
C -0.217 8.507 -7.657 -0.310 -0.840 -0.695 -0.73
H 1.648 3.741 -4.469 0.197 0.212 -0.103 0.16
H 0.544 3.180 -5.760 -0.132 0.316 -0.011 0.35
H 0.094 3.059 -4.037 0.178 -0.693 -0.129 0.13
H 0.432 4.974 -2.725 0.221 0.337 0.083 -0.07
H -1.300 4.999 -3.056 -0.182 -0.506 -0.067 -0.29
H 0.520 7.386 -3.449 0.419 -0.110 -0.350 0.19
H -1.020 7.226 -2.644 0.336 -0.103 0.492 0.33
H -1.060 6.931 -5.507 0.082 -0.408 0.061 0.14
H -0.229 9.128 -5.060 0.539 0.293 -0.079 0.36
H -1.635 9.434 -4.127 -0.318 -0.210 0.262 0.46
H -1.817 10.220 -6.309 0.666 0.379 -0.689 0.42
H -3.083 9.244 -6.051 -0.238 -1.337 -0.407 0.38
H 0.130 9.522 -7.849 -0.290 0.195 0.207 0.34
H -0.073 7.922 -8.566 -0.425 0.279 -0.357 0.28
H 0.495 7.984 -7.019 -0.293 0.243 0.923 0.26
C 3.865 -4.210 -0.163 0.588 0.203 1.935 -0.58
O 4.854 -4.099 0.930 -0.006 -0.106 -1.558 -0.19
C 5.602 -5.308 1.177 0.163 1.312 -0.333 -0.38
C 6.606 -5.040 2.283 0.633 -0.704 1.870 -1.05
N 7.816 -4.235 2.060 -0.677 -0.613 -0.888 -0.52
C 7.389 -2.919 1.730 -0.015 0.990 -0.325 -0.29
C 8.444 -1.889 2.045 -1.226 0.455 -0.273 -0.81
O 8.708 -1.829 3.449 -0.850 -0.708 -0.796 -0.29
C 9.902 -1.199 3.677 1.599 0.983 -0.043 -0.81
H 3.206 -4.958 0.278 -0.744 0.011 -0.874 0.15
H 4.186 -4.428 -1.182 0.816 -0.702 0.218 0.31
H 3.414 -3.227 -0.295 -0.258 -0.042 0.669 0.19
H 6.078 -5.622 0.248 0.092 -0.247 -0.067 0.34
H 4.934 -6.079 1.560 -0.165 -0.252 -0.147 0.29
H 6.871 -5.981 2.764 0.416 -0.476 -0.622 0.56
H 6.031 -4.644 3.120 -0.455 0.755 0.046 0.50
H 8.421 -4.072 2.852 -0.308 -1.054 0.630 0.33
H 6.485 -2.650 2.276 -0.237 0.183 0.180 0.28
H 7.115 -2.873 0.677 0.092 0.294 -0.104 0.21
H 7.969 -0.951 1.756 0.358 0.448 -0.147 0.39
H 9.328 -2.043 1.425 0.406 -0.089 0.300 0.43
H 10.710 -1.709 3.152 0.445 -0.630 0.557 0.34
H 10.072 -1.028 4.740 0.047 -0.570 -0.005 0.25
H 10.029 -0.214 3.229 -0.810 0.584 -0.196 0.32
C -2.608 -5.646 -1.314 1.239 -0.371 -1.413 -0.67
O -1.248 -6.019 -1.422 1.448 -0.864 0.784 -0.15
C -0.629 -5.546 -2.623 -0.334 0.477 0.633 -0.57
C 0.803 -6.026 -2.840 -1.645 -0.818 -0.147 -0.26
N 0.752 -7.475 -3.143 -0.212 2.304 -0.029 -0.50
C 2.139 -7.822 -3.144 -0.677 -1.805 0.985 -0.43
C 2.291 -9.343 -3.180 1.089 -0.208 0.128 -0.72
O 1.660 -10.039 -2.109 -0.962 0.737 0.470 -0.23
C 1.993 -11.395 -1.973 0.942 -0.465 -0.210 -0.78
H -2.704 -4.593 -1.580 -0.259 0.422 0.532 0.16
>>>
Result:
Molecular formula: C66H181N11O30
Method: DFT, ωB97M-V/def2-TZVPD

```
288
Properties=species:S:1:pos:R:3:forces:R:3:mulliken_charge:R:1
O -3.925 1.825 2.628 -1.094 -0.601 -0.292 -0.73
H -3.230 1.472 2.072 1.110 -0.075 -0.234 0.28
H -4.732 1.467 2.259 -0.384 0.109 0.093 0.28
O -2.481 3.496 3.838 0.746 0.733 0.858 -0.74
H -3.072 2.803 3.543 -0.347 -0.015 -0.051 0.47
H -1.759 3.479 3.210 0.153 0.015 -0.065 0.30
O -3.863 2.726 -2.045 0.742 0.201 0.283 -0.65
H -3.490 2.904 -2.908 0.167 -0.129 -0.445 0.22
H -4.765 2.461 -2.224 -0.035 -0.137 -0.538 0.08
O -3.502 5.159 -0.854 0.142 0.527 0.311 -0.51
H -3.505 5.894 -1.468 0.037 0.361 -0.016 0.31
H -3.558 4.382 -1.410 -0.227 -0.627 -0.075 0.28
O 2.340 0.061 0.817 0.797 0.282 -0.725 -0.15
H 2.316 0.078 1.774 -0.282 -0.006 0.439 0.24
H 1.442 -0.146 0.559 -0.197 -0.331 0.015 0.02
O 1.255 7.524 -0.971 -0.060 -0.081 0.134 -0.51
H 1.389 8.125 -1.704 -0.056 0.202 -0.273 0.31
H 2.092 7.518 -0.508 0.291 -0.051 0.280 0.21
O 1.343 0.203 3.395 0.188 -0.235 -0.800 -0.45
H 1.607 0.896 4.000 -0.039 0.486 0.683 0.20
H 0.545 -0.160 3.780 -0.199 -0.288 0.448 -0.02
O -1.149 8.368 0.355 -0.501 0.074 0.122 -0.61
H -0.976 9.269 0.629 -0.032 0.196 0.104 0.28
H -0.298 8.036 0.070 0.445 -0.238 -0.264 0.37
C 0.608 3.663 -4.785 -0.748 -0.104 0.823 -0.54
O -0.083 4.905 -4.744 0.591 -0.194 -0.450 -0.38
C -0.328 5.335 -3.417 -0.619 1.596 -1.088 0.85
C -0.444 6.880 -3.502 -1.270 0.850 -0.176 -0.76
N -1.285 7.399 -4.641 0.094 -1.895 0.552 -0.14
C -1.258 8.794 -4.925 0.300 0.434 -0.084 -0.72
C -2.009 9.151 -6.214 0.498 1.071 1.400 -0.73
O -1.613 8.387 -7.319 0.618 0.126 -0.186 -0.34
C -0.217 8.507 -7.657 -0.310 -0.840 -0.695 -0.73
H 1.648 3.741 -4.469 0.197 0.212 -0.103 0.16
H 0.544 3.180 -5.760 -0.132 0.316 -0.011 0.35
H 0.094 3.059 -4.037 0.178 -0.693 -0.129 0.13
H 0.432 4.974 -2.725 0.221 0.337 0.083 -0.07
H -1.300 4.999 -3.056 -0.182 -0.506 -0.067 -0.29
H 0.520 7.386 -3.449 0.419 -0.110 -0.350 0.19
H -1.020 7.226 -2.644 0.336 -0.103 0.492 0.33
H -1.060 6.931 -5.507 0.082 -0.408 0.061 0.14
H -0.229 9.128 -5.060 0.539 0.293 -0.079 0.36
H -1.635 9.434 -4.127 -0.318 -0.210 0.262 0.46
H -1.817 10.220 -6.309 0.666 0.379 -0.689 0.42
H -3.083 9.244 -6.051 -0.238 -1.337 -0.407 0.38
H 0.130 9.522 -7.849 -0.290 0.195 0.207 0.34
H -0.073 7.922 -8.566 -0.425 0.279 -0.357 0.28
H 0.495 7.984 -7.019 -0.293 0.243 0.923 0.26
C 3.865 -4.210 -0.163 0.588 0.203 1.935 -0.58
O 4.854 -4.099 0.930 -0.006 -0.106 -1.558 -0.19
C 5.602 -5.308 1.177 0.163 1.312 -0.333 -0.38
C 6.606 -5.040 2.283 0.633 -0.704 1.870 -1.05
N 7.816 -4.235 2.060 -0.677 -0.613 -0.888 -0.52
C 7.389 -2.919 1.730 -0.015 0.990 -0.325 -0.29
C 8.444 -1.889 2.045 -1.226 0.455 -0.273 -0.81
O 8.708 -1.829 3.449 -0.850 -0.708 -0.796 -0.29
C 9.902 -1.199 3.677 1.599 0.983 -0.043 -0.81
H 3.206 -4.958 0.278 -0.744 0.011 -0.874 0.15
H 4.186 -4.428 -1.182 0.816 -0.702 0.218 0.31
H 3.414 -3.227 -0.295 -0.258 -0.042 0.669 0.19
H 6.078 -5.622 0.248 0.092 -0.247 -0.067 0.34
H 4.934 -6.079 1.560 -0.165 -0.252 -0.147 0.29
H 6.871 -5.981 2.764 0.416 -0.476 -0.622 0.56
H 6.031 -4.644 3.120 -0.455 0.755 0.046 0.50
H 8.421 -4.072 2.852 -0.308 -1.054 0.630 0.33
H 6.485 -2.650 2.276 -0.237 0.183 0.180 0.28
H 7.115 -2.873 0.677 0.092 0.294 -0.104 0.21
H 7.969 -0.951 1.756 0.358 0.448 -0.147 0.39
H 9.328 -2.043 1.425 0.406 -0.089 0.300 0.43
H 10.710 -1.709 3.152 0.445 -0.630 0.557 0.34
H 10.072 -1.028 4.740 0.047 -0.570 -0.005 0.25
H 10.029 -0.214 3.229 -0.810 0.584 -0.196 0.32
C -2.608 -5.646 -1.314 1.239 -0.371 -1.413 -0.67
O -1.248 -6.019 -1.422 1.448 -0.864 0.784 -0.15
C -0.629 -5.546 -2.623 -0.334 0.477 0.633 -0.57
C 0.803 -6.026 -2.840 -1.645 -0.818 -0.147 -0.26
N 0.752 -7.475 -3.143 -0.212 2.304 -0.029 -0.50
C 2.139 -7.822 -3.144 -0.677 -1.805 0.985 -0.43
C 2.291 -9.343 -3.180 1.089 -0.208 0.128 -0.72
O 1.660 -10.039 -2.109 -0.962 0.737 0.470 -0.23
C 1.993 -11.395 -1.973 0.942 -0.465 -0.210 -0.78
H -2.704 -4.593 -1.580 -0.259 0.422 0.532 0.16